By. Caley Bloodworth, science teacher, Auburn (Alabama) High School


“Peek into the new Auburn High School.” This headline appeared across our city, county, and state for several months leading up to and after the opening of the new, sustainable high school for Auburn, Alabama. While all students, teachers, administrators, and Auburn citizens were thrilled about the possibilities of this new LEED certified space, as an environmental science teacher I was excited about my new classroom lab space and even more excited about what lay outside of our beautiful, 350,000-square foot campus. Walking out the front doors of the main academic building you are greeted by a creek that runs the entire length of the campus. While I do think it enhances our campus’s beauty, the endless possibilities for outdoor science experiments gave me a new passion for teaching tenth through twelfth grade students AP Environmental Science and core environmental science classes.


Eight months before the campus doors opened, I started to brainstorm labs and projects that could utilize the creek on our new campus. At the time, Alabama Power was offering a grant designed to teach students how to be stewards of their environment. I have always tried to teach students how to be good stewards of the earth but obviously that lesson just does not have the same impact when sitting at a desk. I thought this grant was the perfect opportunity to write a proposal that focused our students’ stewardship on taking care of our local water sources and creek banks. Adding tools to create experiments studying water quality was a great opportunity to enhance the academic curriculum for all the environmental science courses. With administration in full support and grant approval in hand, we were prepared to get knee deep, literally, in our campus creek and start our yearlong project on water quality.

(Materials data that have nothing to do with the text)
____________
(1)
DFT (PBE with a Hubbard U) results for a relaxed structure of Co2Bi11O20.

abc: 8.742 8.835 8.841
angles: 110.53 108.70 107.96
Sites, in units of the cell vectors:
Co 0.805 0.095 0.333
Co 0.004 0.018 0.029
Bi 0.499 0.659 0.804
Bi 0.818 0.484 0.649
Bi 0.295 0.152 0.486
Bi 0.136 0.316 0.821
Bi 0.320 0.832 0.132
Bi 0.703 0.193 0.857
Bi 0.860 0.715 0.198
Bi 0.651 0.797 0.505
Bi 0.149 0.485 0.294
Bi 0.504 0.304 0.161
Bi 0.188 0.862 0.694
O 0.667 0.259 0.359
O 0.829 0.059 0.083
O 0.270 0.386 0.622
O 0.229 0.611 0.873
O 0.885 0.234 0.600
O 0.638 0.356 0.731
O 0.013 0.812 0.019
O 0.617 0.874 0.231
O 0.998 0.391 0.992
O 0.375 0.607 0.257
O 0.350 0.123 0.741
O 0.733 0.380 0.101
O 0.999 0.015 0.403
O 0.119 0.744 0.357
O 0.382 0.996 0.995
O 0.380 0.761 0.641
O 0.770 0.649 0.389
O 0.978 0.012 0.815
O 0.221 0.215 0.219
O 0.613 0.604 0.610

(2)
DFT (PBE with a Hubbard U) results for a relaxed structure of CoBi12O20.

abc: 8.901 8.901 8.901
angles: 109.47 109.47 109.47
Sites, in units of the cell vectors:
Co 0.000 0.000 0.000
Bi 0.861 0.697 0.193
Bi 0.332 0.836 0.139
Bi 0.496 0.303 0.164
Bi 0.836 0.139 0.332
Bi 0.668 0.807 0.504
Bi 0.164 0.496 0.303
Bi 0.807 0.504 0.668
Bi 0.303 0.164 0.496
Bi 0.193 0.861 0.697
Bi 0.504 0.668 0.807
Bi 0.697 0.193 0.861
Bi 0.139 0.332 0.836
O 0.000 0.000 0.391
O 0.123 0.742 0.358
O 0.619 0.877 0.235
O 0.258 0.381 0.616
O 0.000 0.000 0.796
O 0.877 0.235 0.619
O 0.358 0.123 0.742
O 0.765 0.642 0.384
O 0.000 0.796 0.000
O 0.204 0.204 0.204
O 0.796 0.000 0.000
O 0.000 0.391 0.000
O 0.609 0.609 0.609
O 0.391 0.000 0.000
O 0.235 0.619 0.877
O 0.381 0.616 0.258
O 0.384 0.765 0.642
O 0.642 0.384 0.765
O 0.742 0.358 0.123
O 0.616 0.258 0.381

(3)
DFT (PBE with a Hubbard U) results for a relaxed structure of CoBi2O6.

abc: 8.926 8.926 5.015
angles: 90.00 90.00 120.00
Sites, in units of the cell vectors:
Co 0.000 0.000 0.500
Co 0.333 0.667 0.000
Co 0.667 0.333 0.000
Bi 0.000 0.374 0.500
Bi 0.292 0.292 0.000
Bi 0.000 0.708 0.000
Bi 0.626 0.626 0.500
Bi 0.374 0.000 0.500
Bi 0.708 0.000 0.000
O 0.083 0.200 0.717
O 0.233 0.465 0.221
O 0.136 0.598 0.781
O 0.402 0.539 0.781
O 0.232 0.767 0.221
O 0.117 0.917 0.717
O 0.535 0.768 0.221
O 0.200 0.083 0.283
O 0.461 0.864 0.781
O 0.800 0.883 0.717
O 0.465 0.233 0.779
O 0.598 0.136 0.219
O 0.539 0.402 0.219
O 0.767 0.232 0.779
O 0.917 0.117 0.283
O 0.768 0.535 0.779
O 0.864 0.461 0.219
O 0.883 0.800 0.283

(4)
DFT (PBE with a Hubbard U) results for a relaxed structure of CoBiPO5.

abc: 11.419 5.304 7.646
angles: 66.65 90.00 90.00
Sites, in units of the cell vectors:
Co 0.582 0.443 0.683
Co 0.082 0.557 0.817
Co 0.418 0.557 0.317
Co 0.918 0.443 0.183
Bi 0.600 0.072 0.311
Bi 0.100 0.928 0.189
Bi 0.400 0.928 0.689
Bi 0.900 0.072 0.811
P 0.849 0.815 0.473
P 0.349 0.185 0.027
P 0.151 0.185 0.527
P 0.651 0.815 0.973
O 0.674 0.132 0.879
O 0.174 0.868 0.621
O 0.326 0.868 0.121
O 0.826 0.132 0.379
O 0.978 0.243 0.014
O 0.478 0.757 0.486
O 0.022 0.757 0.986
O 0.522 0.243 0.514
O 0.917 0.741 0.662
____________


source: Caley Bloodworth


“Water, water, every where, [n]or any drop to drink,” an excerpt from The Rime of the Ancient Mariner poem from 1798, is such a powerful statement from 220 years ago that still holds true in regard to the importance of water. Scientific research shows that we are not gaining water but instead have the potential to experience fresh water shortages. The impact that students have on our future water supply is crucial. Therefore, the importance of teaching our students about water quality is a task that plugs us into the global future and our current community. Lab days have always been my favorite days of school, and the new campus location has enabled me to provide engaging outdoor opportunities that did not exist before. This academic year taking students out into the woods, walking along the creek bank, and wading into the water has made those lab days even more exciting. Most importantly, they provide our students with a sense of real importance as they compile important water quality data for their lab reports.


Throughout the school year, students have conducted chemical testing on the water looking at levels of nitrates and phosphates, pH levels, turbidity, and dissolved oxygen, as well as collecting macroinvertebrate samples periodically throughout the year to make correlations with the water quality and pollution in our city. Students also take soil samples along the creek banks to measure changes in chemical soil balance while also making observations of erosion and overall plant health. Assistant Principal Justina Wills spoke of her experience after joining students on a macroinvertebrate collection day.


“Auburn High School students, faculty, and staff have the beautiful privilege of looking out of the floor to ceiling glass windows that create our building, to experience a glimpse of nature at any given point in our day. Beyond that, some of our classes are taking an experimental approach to embracing the nature that surrounds us. Our environmental classes have begun to venture out to the creek and woods that surround us to set learning in action. I had the wonderful opportunity to join one of those classes in exploring the creek to collect samples for later experimentation. The excitement on the students’ faces as they worked together to collect samples or try to capture living organisms was amazing! Active engagement is a clear indicator of student learning, and it was so rewarding to witness them “knee deep” in learning their content.”


source: Caley Bloodworth


The chemical testing and macroinvertebrate collecting in our creek is teaching students which levels or specific macroinvertebrates indicate good and bad water quality. Students are learning to make correlations with the water quality, air pollution, the weather, and the health of the soil all based on our data and sample collections. However, starting an on-campus water quality project has taught students more than just field lab skills. It has allowed me to interweave other curriculum topics, such as human population, ecosystems, pollution, and energy, into our classroom discussions and lessons.

[Inserted here: crystal structures]
********
First-principles (GGA-PBE) data for a geometry-optimized Bi3Pd8 structure, as listed in the Materials Project.

Values from the calculation:
formation energy from the elements = -0.2553 eV per atom
size of the total moment = 0.00 Bohr magnetons per cell
uncorrected energy = -223.67 eV per cell
symmetry = R3

a b c (Å): 15.291 15.291 15.291
angles (deg): 30.25 30.25 30.25
Fractional coordinates of all 44 atoms:
Pd1 0.139 0.139 0.139
Pd2 0.707 0.707 0.707
Bi1 0.575 0.575 0.575
Pd3 0.542 0.832 0.245
Pd4 0.331 0.041 0.745
Pd5 0.017 0.606 0.294
Pd6 0.745 0.331 0.041
Pd7 0.041 0.745 0.331
Pd8 0.494 0.494 0.494
Pd9 0.069 0.437 0.708
Pd10 0.410 0.114 0.793
Pd11 0.862 0.862 0.862
Pd12 0.567 0.210 0.937
Pd13 0.937 0.567 0.210
Pd14 0.606 0.294 0.017
Pd15 0.362 0.362 0.362
Pd16 0.620 0.908 0.292
Bi2 0.770 0.770 0.770
Pd17 0.210 0.937 0.567
Pd18 0.793 0.410 0.114
Pd19 0.292 0.620 0.908
Pd20 0.832 0.245 0.542
Bi3 0.075 0.075 0.075
Bi4 0.493 0.162 0.862
Bi5 0.362 0.665 0.992
Pd21 0.507 0.792 0.117
Pd22 0.908 0.292 0.620
Pd23 0.708 0.069 0.437
Pd24 0.245 0.542 0.832
Bi6 0.162 0.862 0.493
Pd25 0.640 0.640 0.640
Pd26 0.437 0.708 0.069
Pd27 0.792 0.117 0.507
Bi7 0.927 0.927 0.927
Pd28 0.206 0.206 0.206
Pd29 0.117 0.507 0.792
Pd30 0.114 0.793 0.410
Bi8 0.862 0.493 0.162
Bi9 0.428 0.428 0.428
Bi10 0.268 0.268 0.268
Pd31 0.992 0.992 0.992
Bi11 0.992 0.362 0.665
Pd32 0.294 0.017 0.606
Bi12 0.665 0.992 0.362

First-principles (GGA-PBE) data for a geometry-optimized ScPd3 structure, as listed in the Materials Project.

Values from the calculation:
formation energy from the elements = -0.8556 eV per atom
uncorrected energy = -25.29 eV per cell
symmetry = Pm-3m

a b c (Å): 4.017 4.017 4.017
angles (deg): 90.00 90.00 90.00
Fractional coordinates of all 4 atoms:
Pd1 0.500 0.500 0.000
Pd2 0.000 0.500 0.500
Pd3 0.500 0.000 0.500
Sc1 0.000 0.000 0.000

First-principles (GGA-PBE) data for a geometry-optimized URh3 structure, as listed in the Materials Project.

Values from the calculation:
formation energy from the elements = -0.6727 eV per atom
uncorrected energy = -36.08 eV per cell
symmetry = Pm-3m

a b c (Å): 4.031 4.031 4.031
angles (deg): 90.00 90.00 90.00
Fractional coordinates of all 4 atoms:
Rh1 0.500 0.500 0.000
Rh2 0.500 0.000 0.500
Rh3 0.000 0.500 0.500
U1 0.000 0.000 0.000

First-principles (GGA-PBE) data for a geometry-optimized LiCe2Ru structure, as listed in the Materials Project.

Values from the calculation:
formation energy from the elements = -0.0934 eV per atom
size of the total moment = 0.69 Bohr magnetons per cell
uncorrected energy = -23.42 eV per cell
symmetry = Fm-3m

a b c (Å): 4.964 4.964 4.964
angles (deg): 60.00 60.00 60.00
Fractional coordinates of all 4 atoms:
Li1 0.500 0.500 0.500
Ce1 0.750 0.750 0.750
Ce2 0.250 0.250 0.250
Ru1 0.000 0.000 0.000

- Number 3 is which compound?
  URh3
********
[The crystal structures stop here]


My hope is that through the study of water quality our environmental science students will become better stewards of our water supply by plugging them into our school’s environment, letting them connect to Auburn’s environment, and eventually seeing their role in the importance of our global water quality. As our water quality studies continue, I hope more students start to peek outside our building and into the creek to see the importance of studying water quality.


Author Bio

Caley Bloodworth is a science teacher at Auburn High School (AHS) in Auburn, Alabama – the Loveliest Village on the Plains. At AHS she has been given the opportunity to use her environmental chemistry background to start an AP Environmental Science program and grow the existing environmental science curriculum.